Introduction to NRPL



NRPL is a stack-based language heavily inspired by Hewlett-Packard’s RPL (from which it derives its name) and Forth. It was developed to give users the ability to do complex processing on their data server-side in a concise and secure manner.

Typical uses of NRPL are for querying, filtering, and transforming data. The language is general purpose, making it suitable for a variety of uses (it has been used in the past for database and geographic applications). In this guide we describe how it works in the context of the WXT service. For a full description of the language and its various options and commands, please refer to its complete specification.

How it works

NRPL programs are sequences of commands, literals, and variables, which take arguments from, and return results to, a stack[PDF](original source). Being based on Hewlett-Packard’s RPN, it uses a postfix notation.

An example

Assume you would like to add the numbers 3 and 5 together:


3 5 +


1:   8

Where 1: refers to the bottommost stack level and 8 is the result of the operation.

Another example (step by step)

Let us take a slightly more involved example, and calculate the volume of a sphere of radius 7.5, using the formula 4/3 π r3:


4 3 / PI * 7.5 3 ^ *


1:   1767.1458676442585

The calculation happens as follows, step by step:

Description Input Stack
Enter the first number 4
   1:   4
Enter the second number 3
   2:   4
   1:   3
Divide /
   1:   1.3333333333333333
Enter the symbolic constant π PI
   2:   1.3333333333333333
   1:   3.141592653589793
Multiply *
   1:   4.1887902047863905
Enter the radius 7.5
   2:   4.1887902047863905
   1:   7.5
Enter the exponent 3
   3:   4.1887902047863905
   2:   7.5
   1:   3
Exponentiate ^
   2:   4.1887902047863905
   1:   421.875
Multiply *
   1:   1767.1458676442585

A feature of postfix notation is that parentheses are never required. As long as enough stack levels are available (NRPL has a conceptually infinite stack) calculations can be of any arbitrary complexity.

Inserted here: molecular data =
'''
[1]
The following is a quantum chemistry calculation of an isolated molecule of C7H10N2O in a non-equilibrium geometry, from the OMol25 dataset.

Geometry (Å):
C (2.433, -0.068, 0.762)
N (1.095, 0.265, 0.220)
C (1.047, 1.471, -0.647)
C (0.244, -0.625, 0.603)
O (0.448, -1.658, 1.175)
C (-1.294, -0.278, 0.185)
C (-1.650, 1.054, 0.679)
N (-1.950, 2.102, 1.037)
C (-2.222, -1.426, 0.048)
C (-1.652, -0.764, -1.197)
H (3.232, -0.185, -0.124)
H (2.891, 0.566, 1.511)
H (2.425, -0.929, 1.370)
H (1.239, 2.257, 0.051)
H (1.805, 1.399, -1.476)
H (-0.018, 1.492, -0.831)
H (-3.314, -1.263, 0.132)
H (-1.696, -2.293, 0.175)
H (-0.748, -1.050, -1.787)
H (-2.315, -0.069, -1.886)

Properties
ΔE to the lowest compared entry with this formula, charge and spin = 312.9 kJ/mol
net charge = 0
max |F| = 5.631 eV/Å
molecular weight = 138.2 g/mol



[2]
The following is a quantum chemistry calculation of the ion C7H10N2O2S with charge -2 in a non-equilibrium geometry, from the OMol25 dataset.

Geometry (Å):
C (1.931, -0.264, 1.121)
C (1.134, 0.434, 0.062)
C (1.442, -0.289, -1.304)
C (1.321, 1.904, 0.032)
N (-0.284, 0.164, 0.213)
C (-0.743, -1.085, 0.186)
O (-0.044, -2.140, 0.300)
N (-2.110, -1.342, 0.004)
C (-3.295, -0.570, -0.090)
O (-4.301, -1.215, -0.542)
C (-3.743, 0.517, 0.580)
S (-4.091, 2.021, 0.136)
H (3.011, -0.090, 1.036)
H (1.652, 0.206, 2.096)
H (1.790, -1.321, 0.810)
H (2.478, -0.191, -1.639)
H (0.796, 0.039, -2.116)
H (1.230, -1.312, -1.072)
H (2.119, 2.240, -0.580)
H (0.329, 2.311, -0.211)
H (1.541, 2.277, 1.082)
H (-2.163, -2.293, -0.103)

Properties
net charge = -2
DFT total energy = -930.8107 Eh
max |F| = 3.911 eV/Å
molecular weight = 186.2 g/mol



[3]
The following is a quantum chemistry calculation of an isolated molecule of C7H10N2O3 in a non-equilibrium geometry, from the OMol25 dataset.

Geometry (Å):
C (2.242, 0.939, 1.461)
C (1.373, 0.585, 0.305)
C (0.163, -0.126, 0.500)
O (-0.259, -0.422, 1.747)
N (-0.607, -0.589, -0.522)
C (-2.050, -0.891, -0.284)
C (-0.293, -0.304, -1.897)
C (0.661, 0.921, -2.008)
N (0.487, 1.656, -3.168)
O (1.076, 2.707, -3.239)
O (-0.214, 1.217, -4.036)
C (1.436, 1.230, -0.942)
H (1.880, 0.381, 2.296)
H (2.364, 1.987, 1.601)
H (3.216, 0.385, 1.399)
H (-1.075, -0.876, 1.774)
H (-2.237, -1.874, 0.048)
H (-2.319, -0.209, 0.563)
H (-2.609, -0.688, -1.147)
H (-1.178, -0.047, -2.483)
H (0.182, -1.243, -2.242)
H (2.196, 2.146, -0.870)

Properties
ΔE to the lowest compared entry with this formula, charge and spin = 503.0 kJ/mol
net charge = 0
max |F| = 3.507 eV/Å
molecular weight = 170.2 g/mol



[4]
The following is a quantum chemistry calculation of an isolated molecule of C7H10N2O4 in a non-equilibrium geometry, from the OMol25 dataset.

Geometry (Å):
C (3.991, -2.305, -0.492)
O (3.100, -1.239, -0.809)
C (2.445, -0.707, 0.202)
O (2.500, -0.921, 1.378)
N (1.590, 0.251, -0.328)
N (1.639, 1.450, 0.063)
O (2.399, 2.051, 0.782)
O (0.661, 2.173, -0.472)
C (-0.394, 1.467, -1.055)
C (-1.540, 1.090, -0.562)
C (-2.535, 0.661, 0.147)
'''

Getting data in and out

Data is entered into the program via two mechanisms:

  1. Direct input into the stack, as we have seen above.
  2. Via variables, as we will see in a moment.

In the WXT service results are always retrieved from the stack.


Variables are used in WXT to:

  1. Control certain parameters. These variables are assignable.
  2. Retrieve data. These variables are read-only.

Specifying location, altitude, epoch

**The piece is interrupted by quantum chemistry results**
~~~
176
Properties=species:S:1:pos:R:3:forces:R:3:mulliken_charge:R:1 method="wB97M-V/def2-TZVPD" e_homo_ev=-8.1444 smiles="O=S1(=O)OCCO1.O=S1(=O)OCCO1.O=S1(=O)OCCO1.O=S1(=O)OCCO1.O=S1(=O)OCCO1.O=S1(=O)OCCO1.CCN(CC)CC.CCN(CC)CC.CCN(CC)CC.CCN(CC)CC.CCN(CC)CC" homo_lumo_gap_ev=8.367 lumo_ev=0.22 relative_energy_kcal_mol=39.5 total_energy_ha=-6127.9438
C -4.4433 0.0706 -1.9002 -0.98 1.05 -0.97 0.316
C -5.0499 1.2778 -2.7273 0.66 -1.43 1.59 -1.084
N -4.5240 2.5449 -2.1255 0.60 0.01 -3.19 0.773
C -3.1340 2.7472 -2.6589 0.01 0.05 1.29 0.512
C -2.4079 3.8733 -1.8833 -0.40 -0.87 -0.77 -1.456
C -5.3287 3.6713 -2.6646 -1.56 -0.35 1.91 -0.412
C -6.7147 3.4941 -2.0913 -0.54 0.70 1.06 -1.457
H -3.3748 -0.0067 -2.1013 0.04 0.05 0.53 -0.388
H -4.8788 -0.8825 -2.2000 -0.17 0.07 -0.09 0.174
H -4.7281 0.2731 -0.8677 0.59 -0.25 0.12 -0.100
H -4.8480 1.0935 -3.7825 0.40 0.56 -0.36 0.287
H -6.1346 1.2090 -2.6450 0.16 0.23 0.25 0.423
H -2.5441 1.8497 -2.4729 -0.19 -0.17 -0.05 -0.695
H -3.1475 2.9023 -3.7377 -0.02 0.15 -0.21 0.428
H -2.6424 3.6912 -0.8345 0.11 0.41 0.07 0.156
H -1.3393 3.7331 -2.0462 0.08 0.25 0.10 0.424
H -2.7041 4.8633 -2.2299 0.02 0.00 0.29 0.412
H -5.5202 3.8058 -3.7292 1.18 -0.22 -0.48 0.234
H -5.0373 4.5917 -2.1585 0.75 0.07 -0.58 0.394
H -7.3395 2.7333 -2.5591 -0.05 0.28 0.04 0.346
H -7.1994 4.4689 -2.0372 -0.45 -0.10 -0.54 0.454
H -6.5800 3.2986 -1.0275 -0.22 -0.55 -0.01 0.245
C -6.0147 -4.0540 -3.1212 0.86 -0.63 0.88 -1.624
C -4.5549 -3.5807 -3.1617 0.06 -1.31 -0.23 0.364
N -3.5808 -4.6991 -3.0800 -2.13 -0.42 1.21 0.342
C -2.2366 -4.2332 -2.7942 0.12 -0.84 -1.44 0.734
C -1.2492 -5.3473 -2.3913 -0.39 0.18 -1.04 -2.223
C -3.7908 -5.8007 -4.0372 0.97 0.94 -0.66 -0.794
C -3.8244 -5.3867 -5.5409 -0.50 -0.09 1.09 -1.021
H -6.0290 -4.7391 -2.2736 -0.43 0.14 0.41 0.397
H -6.3454 -4.7061 -3.9296 0.03 0.61 -0.45 0.341
H -6.6568 -3.1948 -2.9275 -0.22 -0.24 -0.25 0.394
H -4.4256 -2.9716 -4.0563 0.38 0.38 -0.18 0.431
H -4.3895 -2.9831 -2.2652 0.07 0.24 -0.17 -0.338
H -1.9876 -3.7919 -3.7592 1.28 0.66 0.09 0.103
H -2.2341 -3.4663 -2.0197 -0.32 0.07 -0.05 -0.123
H -0.3167 -4.9161 -2.0274 -0.26 -0.09 0.70 0.287
H -1.7838 -6.0627 -1.7663 0.40 0.20 0.65 0.518
H -0.9056 -5.9494 -3.2325 -0.22 0.08 -0.35 0.525
H -4.6952 -6.3756 -3.8385 -0.06 0.18 0.38 0.445
H -2.9502 -6.4865 -3.9310 -0.07 -0.08 0.20 0.475
H -4.7584 -4.8710 -5.7637 -0.01 0.11 -0.05 0.246
H -3.8347 -6.3177 -6.1077 0.35 0.22 -0.34 0.435
H -3.0035 -4.7080 -5.7723 0.13 -0.30 -0.28 0.182
C 4.5775 0.6118 -3.3446 0.84 -0.40 -0.46 -1.484
C 4.5325 0.8682 -1.8476 0.19 0.03 -1.04 0.721
N 5.8354 0.8924 -1.2433 2.65 -0.16 1.09 0.020
C 6.8124 1.9360 -1.6462 -1.57 1.63 -0.23 -0.662
C 6.2709 3.4034 -1.4538 -0.41 0.48 -0.98 -1.019
C 5.8882 0.7276 0.2186 -1.35 -0.45 -0.03 -0.092
C 5.4972 -0.6729 0.6886 0.27 -0.50 -0.25 -1.308
H 5.0945 -0.3313 -3.5218 -0.17 -0.30 0.02 0.400
H 5.1918 1.3140 -3.9081 -0.27 0.45 0.07 0.473
H 3.5808 0.5550 -3.7821 0.01 0.08 0.08 0.102
H 3.9687 1.7939 -1.7316 -0.36 0.17 0.64 0.174
~~~

At endpoints where the user has direct control over the location and epoch parameters, these variables may be used.

These variables are case-sensitive

Assignment Purpose Example
!lat Set the latitude 3.5 !lon
!lon Set the longitude 45.52 !lat
!ele Set the elevation "A2000" !ele (usually defaults to "GND")
!epoch Set the epoch @2016-01-01T03:30Z@ !epoch (usually defaults to current time)

Recalling those variables (e.g., $lat, $lon) will put their current value on the stack.

Accessing weather data

If any external variable except for those listed above is recalled, it will be assumed to be a weather forecast element, and its value will reflect the value of that element at the location and time indicated by the aforementioned variables.


The following program will retrieve the current temperature in Celsius, relative humidity, and wind force in knots in the centre of Wrocław, Poland (51.1079° N, 17.0385° E):


51.1079 !lat 17.0385 !lon     § Set the location
$TMP § Get temperature
273.15 - § Convert from Kelvin to degrees Celsius
$RH § Get relative humidity
$UGRD $VGRD HYPOT § Get the wind vector (in m/s)
3.6 * 1.852 / § Convert to knots

Stack (example)

3:   0.13400000000001455
2: 88.482
1: 3.6297260958716424

If your subscription supports it, you may run the above program by visiting this link: https//!lat;17.0385!lon;$TMP;273.15-;$RH;$UGRD;$VGRD;HYPOT;3.6×;1.852÷.

Or alternatively, uploading the program file via cURL:

curl -u username:password -s -H "Content-Type: text/plain" --data-binary @wrocław.nrpl ""

Which should return a JSON array with the contents of the stack, for example:


More information

For a full description of NRPL, please refer to the specification.

For its use in WXT, please refer to the relevant endpoints.